Assignment
Now echo the lines further below from the one with "For AsPtN2F," to the one with "For Nd6SmY," character by character.

File
No. 1
For AsPtN2F, a crystal structure in Alexandria, relaxed with GGA-PBE gives the simulated X-ray diffraction stick pattern in this record (Cu Kα X-rays).
Peak positions follow from Bragg's law for the DFT cell and can differ from measured ones.

Cell and atoms:
```
data_AsPtN2F
_cell_length_a 3.8999
_cell_length_b 3.8999
_cell_length_c 3.7689
_cell_angle_alpha 90.00
_cell_angle_beta 90.00
_cell_angle_gamma 90.00
_symmetry_space_group_name_H-M 'P 4/m m m'
_symmetry_Int_Tables_number 123
_symmetry_space_group_name_Hall '-P 4 2'
loop_
_atom_site_label
_atom_site_type_symbol
_atom_site_fract_x
_atom_site_fract_y
_atom_site_fract_z
As1 As 0.0000 0.0000 0.0000
Pt1 Pt 0.5000 0.5000 0.5000
N1 N 0.0000 0.5000 0.0000
F1 F 0.0000 0.0000 0.5000
```

Largest 6 diffraction maxima, most intense first, 2θ = 10–80°:
d [Å]  Position (°2θ)  I/Imax  index
2.710  33.05  1000  1 0 1
2.758  32.47  577  1 1 0
1.583  58.29  410  2 1 1
1.950  46.58  302  2 0 0
2.226  40.53  235  1 1 1
1.556  59.40  213  1 1 2

No. 2
For BaSiH6, a crystal structure in Alexandria, relaxed with GGA-PBE gives the simulated X-ray diffraction stick pattern in this record (Cu Kα X-rays).
Peak positions follow from Bragg's law for the DFT cell and can differ from measured ones.

Cell and atoms:
```
data_BaSiH6
_cell_length_a 4.8298
_cell_length_b 4.8298
_cell_length_c 12.6355
_cell_angle_alpha 90.00
_cell_angle_beta 90.00
_cell_angle_gamma 120.00
_symmetry_space_group_name_H-M 'R -3 m'
_symmetry_Int_Tables_number 166
_symmetry_space_group_name_Hall '-R 3 2"'
loop_
_atom_site_label
_atom_site_type_symbol
_atom_site_fract_x
_atom_site_fract_y
_atom_site_fract_z
Ba1 Ba 0.0000 0.0000 0.0000
Si1 Si 0.0000 0.0000 0.5000
H1 H 0.0184 0.5092 0.0951
```

Largest 6 diffraction maxima, most intense first, 2θ = 10–80°:
d [Å]  Position (°2θ)  I/Imax  index
3.488  25.54  1000  0 1 2
3.971  22.39  508  1 0 1
2.521  35.62  423  1 0 4
2.415  37.23  354  1 1 0
1.985  45.70  208  2 0 2
2.095  43.18  202  1 1 3

No. 3
For Nd6SmY, a crystal structure in Alexandria, relaxed with GGA-PBE gives the simulated X-ray diffraction stick pattern in this record (Cu Kα X-rays).
Peak positions follow from Bragg's law for the DFT cell and can differ from measured ones.

Cell and atoms:
```
data_Nd6SmY
_cell_length_a 7.3512
_cell_length_b 10.3325
_cell_length_c 14.6545
_cell_angle_alpha 90.00
_cell_angle_beta 90.00
_cell_angle_gamma 90.00
_symmetry_space_group_name_H-M 'F m m m'
_symmetry_Int_Tables_number 69
_symmetry_space_group_name_Hall '-F 2 2'
loop_
_atom_site_label
_atom_site_type_symbol
_atom_site_fract_x
_atom_site_fract_y
_atom_site_fract_z
Nd1 Nd 0.0000 0.0000 0.2497
Nd2 Nd 0.2500 0.2500 0.1241
Sm1 Sm 0.0000 0.0000 0.0000
Y1 Y 0.0000 0.0000 0.5000
```

Largest 6 diffraction maxima, most intense first, 2θ = 10–80°:
d [Å]  Position (°2θ)  I/Imax  index
2.992  29.87  1000  2 2 0
2.595  34.57  339  2 0 4
1.831  49.80  301  2 4 4
2.583  34.73  167  0 4 0
1.565  59.00  145  4 2 4
1.563  59.12  144  2 2 8


Diffraction record for Hg8PtI6. The X-ray diffraction stick pattern is theoretical, not measured: it uses a GGA-PBE-relaxed structure and Cu Kα (weighted mean of Kα1 and Kα2).

Structure:
```
Hg8PtI6
1.0
8.132 0.000 0.000
-2.794 7.869 0.000
-0.151 -0.385 9.078
Hg Pt I
8 1 6
direct
0.002 0.162 0.001
0.028 0.638 0.277
0.284 0.688 0.859
0.295 0.475 0.141
0.705 0.525 0.859
0.716 0.312 0.141
0.972 0.362 0.723
0.998 0.838 0.999
0.000 0.500 0.000
0.083 0.787 0.553
0.387 0.164 0.249
0.390 0.285 0.750
0.610 0.715 0.250
0.613 0.836 0.751
0.917 0.213 0.447
```

Most intense lines, 10° ≤ 2θ ≤ 90°, by intensity:
11.25 deg, rel. 100.0
11.55 deg, rel. 84.9
38.50 deg, rel. 80.7
24.13 deg, rel. 64.7
35.60 deg, rel. 55.8
35.16 deg, rel. 55.1

Diffraction record for KScIn2. The X-ray diffraction stick pattern is theoretical, not measured: it uses a GGA-PBE-relaxed structure and Cu Kα (weighted mean of Kα1 and Kα2).

Structure:
```
KScIn2
1.0
3.467 0.000 0.000
0.000 3.467 0.000
0.000 0.000 10.136
K Sc In
1 1 2
direct

Response
For AsPtN2F, a crystal structure in Alexandria, relaxed with GGA-PBE gives the simulated X-ray diffraction stick pattern in this record (Cu Kα X-rays).
Peak positions follow from Bragg's law for the DFT cell and can differ from measured ones.

Cell and atoms:
```
data_AsPtN2F
_cell_length_a 3.8999
_cell_length_b 3.8999
_cell_length_c 3.7689
_cell_angle_alpha 90.00
_cell_angle_beta 90.00
_cell_angle_gamma 90.00
_symmetry_space_group_name_H-M 'P 4/m m m'
_symmetry_Int_Tables_number 123
_symmetry_space_group_name_Hall '-P 4 2'
loop_
_atom_site_label
_atom_site_type_symbol
_atom_site_fract_x
_atom_site_fract_y
_atom_site_fract_z
As1 As 0.0000 0.0000 0.0000
Pt1 Pt 0.5000 0.5000 0.5000
N1 N 0.0000 0.5000 0.0000
F1 F 0.0000 0.0000 0.5000
```

Largest 6 diffraction maxima, most intense first, 2θ = 10–80°:
d [Å]  Position (°2θ)  I/Imax  index
2.710  33.05  1000  1 0 1
2.758  32.47  577  1 1 0
1.583  58.29  410  2 1 1
1.950  46.58  302  2 0 0
2.226  40.53  235  1 1 1
1.556  59.40  213  1 1 2

No. 2
For BaSiH6, a crystal structure in Alexandria, relaxed with GGA-PBE gives the simulated X-ray diffraction stick pattern in this record (Cu Kα X-rays).
Peak positions follow from Bragg's law for the DFT cell and can differ from measured ones.

Cell and atoms:
```
data_BaSiH6
_cell_length_a 4.8298
_cell_length_b 4.8298
_cell_length_c 12.6355
_cell_angle_alpha 90.00
_cell_angle_beta 90.00
_cell_angle_gamma 120.00
_symmetry_space_group_name_H-M 'R -3 m'
_symmetry_Int_Tables_number 166
_symmetry_space_group_name_Hall '-R 3 2"'
loop_
_atom_site_label
_atom_site_type_symbol
_atom_site_fract_x
_atom_site_fract_y
_atom_site_fract_z
Ba1 Ba 0.0000 0.0000 0.0000
Si1 Si 0.0000 0.0000 0.5000
H1 H 0.0184 0.5092 0.0951
```

Largest 6 diffraction maxima, most intense first, 2θ = 10–80°:
d [Å]  Position (°2θ)  I/Imax  index
3.488  25.54  1000  0 1 2
3.971  22.39  508  1 0 1
2.521  35.62  423  1 0 4
2.415  37.23  354  1 1 0
1.985  45.70  208  2 0 2
2.095  43.18  202  1 1 3

No. 3
For Nd6SmY, a crystal structure in Alexandria, relaxed with GGA-PBE gives the simulated X-ray diffraction stick pattern in this record (Cu Kα X-rays).